Listing:
........
DFT (GGA+U) results for Li6Mn5FeB6O18 after structural relaxation.

Results
As for the formation energy: -2481 meV/atom. Its space-group type is No. 6.

Cell lengths 12.7397, 8.2649, 8.2751 Å; angles 60.05, 90.00, 90.00 degrees
With the nearest neighbours (Å) after each atom.
Fractional positions:
Li (0.5000, 0.9824, 0.3013)  4 O 1.97-2.01
Li (0.2498, 0.9821, 0.3015)  4 O 1.98-2.02
Li (0.0000, 0.9818, 0.3020)  4 O 2.00-2.02
Li (0.7502, 0.9821, 0.3015)  4 O 1.98-2.02
Li (0.5000, 0.3014, 0.7159)  4 O 1.97-2.01
Li (0.7502, 0.3010, 0.7162)  4 O 1.97-2.02
Li (0.0000, 0.3016, 0.7161)  4 O 1.97-2.02
Li (0.2498, 0.3010, 0.7162)  4 O 1.97-2.02
Li (0.7502, 0.7155, 0.9834)  4 O 1.98-2.01
Li (0.0000, 0.7150, 0.9838)  4 O 1.98-2.02
Li (0.5000, 0.7161, 0.9829)  4 O 1.97-2.01
Li (0.2498, 0.7155, 0.9834)  4 O 1.98-2.01
Mn (0.3751, 0.3593, 0.0120)  5 O 2.11-2.19
Mn (0.8750, 0.3602, 0.0118)  5 O 2.11-2.19
Mn (0.6249, 0.3593, 0.0120)  5 O 2.11-2.19
Mn (0.1250, 0.3602, 0.0118)  5 O 2.11-2.19
Mn (0.8750, 0.0120, 0.6282)  5 O 2.11-2.19
Mn (0.3750, 0.0117, 0.6289)  5 O 2.11-2.20
Mn (0.6250, 0.0117, 0.6289)  5 O 2.11-2.20
Mn (0.1250, 0.0120, 0.6282)  5 O 2.11-2.19
Mn (0.3738, 0.6289, 0.3592)  5 O 2.11-2.20
Mn (0.6262, 0.6289, 0.3592)  5 O 2.11-2.20
Fe (0.8757, 0.6327, 0.3594)  5 O 2.04-2.19
Fe (0.1243, 0.6327, 0.3594)  5 O 2.04-2.19
B (0.3750, 0.0001, 0.9999)  3 O 1.40
B (0.6250, 0.0001, 0.9999)  3 O 1.40
B (0.8751, 0.9978, 0.0005)  3 O 1.39-1.40
B (0.1249, 0.9978, 0.0005)  3 O 1.39-1.40
B (0.2488, 0.6666, 0.6656)  3 O 1.39
B (0.5000, 0.6666, 0.6665)  3 O 1.39
B (0.7512, 0.6666, 0.6656)  3 O 1.39
B (0.0000, 0.6671, 0.6645)  3 O 1.39
B (0.5000, 0.3335, 0.3334)  3 O 1.39
B (0.7507, 0.3343, 0.3336)  3 O 1.39-1.40
B (0.0000, 0.3356, 0.3342)  3 O 1.39-1.40
B (0.2493, 0.3343, 0.3336)  3 O 1.39-1.40
O (0.6251, 0.9225, 0.1933)  1 B 1.40
O (0.3749, 0.9225, 0.1933)  1 B 1.40
O (0.8755, 0.9167, 0.1949)  1 B 1.40
O (0.1245, 0.9167, 0.1949)  1 B 1.40
O (0.2468, 0.5805, 0.5578)  1 B 1.39
O (0.5000, 0.5805, 0.5590)  1 B 1.39
O (0.7532, 0.5805, 0.5578)  1 B 1.39
O (0.0000, 0.5819, 0.5561)  1 B 1.39
O (0.3749, 0.1937, 0.8841)  1 B 1.40
O (0.8750, 0.1914, 0.8874)  1 B 1.39
O (0.1250, 0.1914, 0.8874)  1 B 1.39
O (0.6251, 0.1937, 0.8841)  1 B 1.40
O (0.2501, 0.8601, 0.5798)  1 B 1.39
O (0.0000, 0.8606, 0.5798)  1 B 1.39
O (0.5000, 0.8602, 0.5804)  1 B 1.39
O (0.7499, 0.8601, 0.5798)  1 B 1.39
O (0.2500, 0.5592, 0.8590)  1 B 1.39
O (0.5000, 0.5595, 0.8600)  1 B 1.39
O (0.0000, 0.5589, 0.8580)  1 B 1.39
O (0.7500, 0.5592, 0.8590)  1 B 1.39
O (0.5000, 0.2506, 0.2223)  1 B 1.39
O (0.0000, 0.2533, 0.2221)  1 B 1.40
O (0.7501, 0.2516, 0.2222)  1 B 1.40
O (0.2499, 0.2516, 0.2222)  1 B 1.40
O (0.3749, 0.8843, 0.9221)  1 B 1.40
O (0.6251, 0.8843, 0.9221)  1 B 1.40
O (0.8751, 0.8838, 0.9211)  1 B 1.39
O (0.1249, 0.8838, 0.9211)  1 B 1.39
O (0.5000, 0.5273, 0.2508)  1 B 1.39
O (0.7515, 0.5278, 0.2521)  1 B 1.39
O (0.0000, 0.5289, 0.2539)  1 B 1.39
O (0.2485, 0.5278, 0.2521)  1 B 1.39
O (0.7502, 0.2223, 0.5272)  1 B 1.39
O (0.5000, 0.2224, 0.5270)  1 B 1.39
O (0.0000, 0.2222, 0.5277)  1 B 1.39
O (0.2498, 0.2223, 0.5272)  1 B 1.39
........
Assignment:
Your job: filter the contents earlier on: keep the lines with the word "As".
Here it is:
As for the formation energy: -2481 meV/atom. Its space-group type is No. 6.